Record 1
Computed, not measured: a relaxed structure of NaNb2Al2P5SO24 at the GGA-PBE level of DFT.

Volume in Å³ per atom: 13.41
Space-group type: P1
Calculated formation energy in eV/atom: -2.82

POSCAR file:
```
NaNb2Al2P5SO24
1.0
8.583 0.011 -0.013
-4.282 7.421 0.002
-0.032 -0.014 22.091
Na Nb Al P S O
3 6 6 15 3 72
direct
0.000 0.999 0.005 Na
0.666 0.333 0.833 Na
0.668 0.331 0.340 Na
0.005 0.007 0.361 Nb
0.999 0.000 0.853 Nb
0.666 0.328 0.190 Nb
0.332 0.666 0.028 Nb
0.339 0.668 0.526 Nb
0.334 0.666 0.806 Nb
0.993 0.993 0.644 Al
0.010 0.007 0.146 Al
0.664 0.337 0.687 Al
0.668 0.334 0.981 Al
0.670 0.342 0.479 Al
0.324 0.666 0.313 Al
0.276 0.985 0.249 P
0.017 0.292 0.249 P
0.288 0.277 0.743 P
0.989 0.709 0.744 P
0.720 0.013 0.744 P
0.683 0.618 0.585 P
0.941 0.627 0.082 P
0.685 0.056 0.081 P
0.376 0.317 0.081 P
0.618 0.656 0.918 P
0.037 0.382 0.918 P
0.345 0.963 0.918 P
0.607 0.958 0.415 P
0.353 0.396 0.415 P
0.042 0.651 0.416 P
0.708 0.721 0.249 S
0.940 0.322 0.585 S
0.382 0.061 0.584 S
0.195 0.027 0.306 O
0.823 0.795 0.304 O
0.970 0.169 0.306 O
0.201 0.165 0.803 O
0.961 0.795 0.804 O
0.833 0.041 0.804 O
0.805 0.975 0.691 O
0.165 0.191 0.690 O
0.029 0.833 0.691 O
0.794 0.825 0.195 O
0.032 0.198 0.193 O
0.165 0.965 0.193 O
0.864 0.358 0.638 O
0.496 0.135 0.638 O
0.638 0.497 0.640 O
0.862 0.507 0.139 O
0.645 0.135 0.139 O
0.493 0.355 0.139 O
0.467 0.294 0.026 O
0.828 0.536 0.026 O
0.710 0.172 0.026 O
0.464 0.165 0.529 O
0.704 0.530 0.528 O
0.833 0.295 0.530 O
0.533 0.693 0.974 O
0.159 0.467 0.974 O
0.308 0.841 0.973 O
0.530 0.840 0.473 O
0.312 0.473 0.473 O
0.160 0.691 0.474 O
0.128 0.624 0.360 O
0.493 0.868 0.360 O
0.376 0.509 0.360 O
0.129 0.495 0.861 O
0.365 0.870 0.861 O
0.505 0.635 0.861 O
0.022 0.822 0.408 O
0.796 0.973 0.407 O
0.178 0.206 0.409 O
0.022 0.194 0.911 O
0.172 0.979 0.910 O
0.806 0.829 0.911 O
0.968 0.167 0.592 O
0.201 0.038 0.592 O
0.842 0.808 0.593 O
0.966 0.813 0.092 O
0.845 0.030 0.092 O
0.189 0.156 0.090 O
0.694 0.175 0.738 O
0.475 0.300 0.740 O
0.827 0.521 0.740 O
0.689 0.535 0.244 O
0.843 0.312 0.243 O
0.468 0.161 0.244 O
0.638 0.491 0.925 O
0.853 0.362 0.925 O
0.509 0.147 0.925 O
0.634 0.145 0.427 O
0.511 0.366 0.425 O
0.856 0.489 0.426 O
0.360 0.491 0.075 O
0.131 0.643 0.075 O
0.511 0.868 0.075 O
0.361 0.875 0.578 O
0.509 0.639 0.575 O
0.125 0.488 0.577 O
0.303 0.826 0.260 O
0.531 0.700 0.258 O
0.178 0.475 0.260 O
0.305 0.465 0.756 O
0.160 0.693 0.757 O
0.533 0.841 0.757 O
```



Record 2
Computed, not measured: a relaxed structure of Na2TiZn2GeO7 at the GGA-PBE level of DFT.

Volume in Å³ per atom: 12.65
Space-group type: Pbca
Calculated formation energy in eV/atom: -2.36

POSCAR file:
```
Na2TiZn2GeO7
1.0
-2.339 -1.592 -4.479
-8.948 -4.796 6.378
-10.314 17.930 -0.988
Na Ti Zn Ge O
16 8 16 8 56
direct
0.756 0.664 0.826 Na
0.256 0.336 0.674 Na
0.744 0.164 0.174 Na
0.244 0.836 0.326 Na
0.244 0.336 0.174 Na
0.744 0.664 0.326 Na
0.256 0.836 0.826 Na
0.756 0.164 0.674 Na
0.758 0.174 0.997 Na
0.258 0.826 0.503 Na
0.258 0.326 0.997 Na
0.758 0.674 0.503 Na
0.242 0.826 0.003 Na
0.742 0.174 0.497 Na
0.742 0.674 0.003 Na
0.242 0.326 0.497 Na
0.791 0.687 0.667 Ti
0.791 0.187 0.833 Ti
0.291 0.813 0.667 Ti
0.709 0.687 0.167 Ti
0.209 0.313 0.333 Ti
0.209 0.813 0.167 Ti
0.709 0.187 0.333 Ti
0.291 0.313 0.833 Ti
0.255 0.079 0.241 Zn
0.245 0.579 0.759 Zn
0.755 0.921 0.259 Zn
0.785 0.920 0.572 Zn
0.255 0.579 0.259 Zn
0.755 0.421 0.241 Zn
0.245 0.079 0.741 Zn
0.745 0.921 0.759 Zn
0.285 0.080 0.928 Zn
0.715 0.420 0.428 Zn
0.215 0.580 0.072 Zn
0.785 0.420 0.928 Zn
0.715 0.920 0.072 Zn
0.285 0.580 0.572 Zn
0.215 0.080 0.428 Zn
0.745 0.421 0.741 Zn
0.783 0.929 0.912 Ge
0.283 0.071 0.588 Ge
0.717 0.429 0.088 Ge
0.217 0.571 0.412 Ge
0.217 0.071 0.088 Ge
0.717 0.929 0.412 Ge
0.283 0.571 0.912 Ge
0.783 0.429 0.588 Ge
0.695 0.348 0.656 O
0.195 0.652 0.844 O
0.805 0.848 0.344 O
0.305 0.152 0.156 O
0.305 0.652 0.344 O
0.805 0.348 0.156 O
0.195 0.152 0.656 O
0.695 0.848 0.844 O
0.652 0.068 0.902 O
0.152 0.932 0.598 O
Duplicate the part of the block above that starts with the line with "0.493 0.868" and stops after the one with "eV/atom: -2.36".
0.493 0.868 0.360 O
0.376 0.509 0.360 O
0.129 0.495 0.861 O
0.365 0.870 0.861 O
0.505 0.635 0.861 O
0.022 0.822 0.408 O
0.796 0.973 0.407 O
0.178 0.206 0.409 O
0.022 0.194 0.911 O
0.172 0.979 0.910 O
0.806 0.829 0.911 O
0.968 0.167 0.592 O
0.201 0.038 0.592 O
0.842 0.808 0.593 O
0.966 0.813 0.092 O
0.845 0.030 0.092 O
0.189 0.156 0.090 O
0.694 0.175 0.738 O
0.475 0.300 0.740 O
0.827 0.521 0.740 O
0.689 0.535 0.244 O
0.843 0.312 0.243 O
0.468 0.161 0.244 O
0.638 0.491 0.925 O
0.853 0.362 0.925 O
0.509 0.147 0.925 O
0.634 0.145 0.427 O
0.511 0.366 0.425 O
0.856 0.489 0.426 O
0.360 0.491 0.075 O
0.131 0.643 0.075 O
0.511 0.868 0.075 O
0.361 0.875 0.578 O
0.509 0.639 0.575 O
0.125 0.488 0.577 O
0.303 0.826 0.260 O
0.531 0.700 0.258 O
0.178 0.475 0.260 O
0.305 0.465 0.756 O
0.160 0.693 0.757 O
0.533 0.841 0.757 O
```



Record 2
Computed, not measured: a relaxed structure of Na2TiZn2GeO7 at the GGA-PBE level of DFT.

Volume in Å³ per atom: 12.65
Space-group type: Pbca
Calculated formation energy in eV/atom: -2.36